Resolution No. 2 for the Jackson Avenue Sidewalk Gap Elimination Project - Westover Avenue to Park Lake Avenue - South Side of Jackson Road - Special Assessment District No. 61
The City of Ann Arbor has undertaken the design of the 2019 Sidewalk Gap Elimination Project for the upcoming construction season. This project included the construction of a new sidewalk along the south side of Jackson Avenue’s Eastbound lanes from Westover Avenue to Park Lake Avenue. The project entails the construction of about 1,640 lineal feet of a new, 5 foot wide, sidewalk. In order to construct the project it will be necessary to perform some regrading of the right-of-way in order to allow the path to be constructed to ADA Standards. It will also be necessary to remove 17 existing trees that are growing close to the roadway that will interfere with the sidewalk construction. Given the existing ditch in this area, it is not practicable to move the sidewalk to avoid the trees. This project will fill in a lengthy sidewalk gap on this segment of roadway and is expected to be completed in Summer 2020.
A portion of the project will be along the frontage of the Dolph Nature Area. This segment is about 761 feet in length. This portion of sidewalk will be paid for by the Ann Arbor Community Services - Parks Department and is included in the Special Assessment District as City Share - Non-recoverable. The estimated cost of this work is $152,650.00.
On April 6, 2020 a resolution entitled “Reallocate $118,000.00 from the Resident-Driven Sidewalk Gap Filling Program to the Barton Drive Improvement Project and the Jackson Avenue Sidewalk Gap Project”, Legistar Item No. 20-0328, is on the agenda that will, if approved, allocate $73,000.00from the Resident-driven Sidewalk Gap-filling Program to be used to defray about half of the estimated assessment costs of the proposed Jackson Avenue sidewalk. As this Resolution had not been approved at the time of this writing, the estimated assessments presented herein have been calculated assuming that this funding will not be available to offset the estimated special assessment amounts. If the resolution is approved as written, the estimated special assessments will be reduced by about 49% as previously stated.
[Quantum chemistry results from another source follow]
********
*i*
Density functional theory data (ωB97M-V with the def2-TZVPD basis set) for a cluster of 2 separate species, C6H13N2S in total.

Calculated values
Highest occupied orbital energy   -11.79 eV
HOMO-LUMO gap   8.497 eV
LUMO energy   -3.293 eV

ORCA input file:
```
! RIJCOSX wB97M-V def2-TZVPD def2/J DEFGRID3
* xyz 1 1
C -2.339 2.714 0.020
C -1.947 0.269 -0.148
C -0.938 -3.266 -0.093
C 3.999 1.915 0.044
C -1.941 -2.198 0.318
C 3.373 0.528 0.008
N -2.130 1.388 0.006
N -1.489 -0.902 -0.381
S 1.817 0.411 -0.304
H -2.511 3.097 1.007
H -1.438 3.162 -0.304
H -1.037 -3.631 -1.145
H -0.008 -2.986 0.169
H -1.211 -4.266 0.519
H 3.341 2.769 -0.217
H 4.479 2.061 1.043
H 4.917 1.973 -0.544
H -2.914 -2.579 0.083
H -1.992 -2.085 1.345
H -3.319 2.958 -0.462
H 4.039 -0.427 0.126
H -0.751 -0.908 -1.090
*
```

=====

*ii*
Density functional theory data (ωB97M-V with the def2-TZVPD basis set) for a cluster of 2 separate species, C6H13N2S in total.

Calculated values
Highest occupied orbital energy   -11.75 eV
HOMO-LUMO gap   8.673 eV
LUMO energy   -3.074 eV

ORCA input file:
```
! RIJCOSX wB97M-V def2-TZVPD def2/J DEFGRID3
* xyz 1 1
S -0.412 -0.743 3.783
C 0.518 -2.971 2.365
C -0.369 -2.543 3.526
H 0.906 -0.597 4.037
H 0.188 -2.487 1.430
H 0.468 -4.065 2.231
H 1.567 -2.688 2.557
H -1.424 -2.814 3.333
H -0.062 -3.036 4.468
C 0.493 0.865 -1.484
C 0.118 1.668 -2.535
C -1.229 2.088 -0.795
N -0.351 1.147 -0.438
N -0.948 2.406 -2.063
C 0.658 1.806 -3.915
H 1.288 0.124 -1.409
H -2.019 2.512 -0.174
H -0.324 0.704 0.498
H -1.470 3.115 -2.609
H 1.505 1.112 -4.047
H 1.014 2.834 -4.095
H -0.115 1.565 -4.663
*
```

=====

Stability ranking, top and bottom: *ii* is the most stable and *i* is the least stable.

=====

*i*
Density functional theory data (ωB97M-V with the def2-TZVPD basis set) for the molecule C3H5ClO.

Calculated values
Highest occupied orbital energy   -9.57 eV
HOMO-LUMO gap   10.309 eV
LUMO energy   0.735 eV
SMILES   OC/C=C\Cl

ORCA input file:
```
! RIJCOSX wB97M-V def2-TZVPD def2/J DEFGRID3
* xyz 0 1
C -0.618 0.755 -0.092
C 0.110 -0.521 -0.137
C 1.426 -0.782 -0.016
O -2.059 0.690 0.181
Cl 2.626 0.320 0.446
H -0.129 1.504 0.608
H -0.697 1.384 -1.062
H -0.312 -1.415 -0.536
H 1.745 -1.796 -0.037
H -2.091 -0.140 0.644
*
```

=====

*ii*
Density functional theory data (ωB97M-V with the def2-TZVPD basis set) for the molecule C3H5ClO.

Calculated values
Highest occupied orbital energy   -10.39 eV
HOMO-LUMO gap   11.449 eV
LUMO energy   1.056 eV
SMILES   C[C@@H]1O[C@H]1Cl

ORCA input file:
```
! RIJCOSX wB97M-V def2-TZVPD def2/J DEFGRID3
* xyz 0 1
C -0.554 0.013 0.035
C 0.173 1.248 -0.294
C 0.254 -1.293 0.294
O -0.658 0.614 -1.272
Cl -0.369 2.793 0.325
H -1.514 0.051 0.417
H 1.242 1.362 -0.437
H 0.977 -0.973 0.953
H 0.753 -1.703 -0.686
H -0.305 -2.111 0.666
*
```

=====

Stability ranking, top and bottom: *i* is the most stable and *ii* is the least stable.

=====

*i*
********
In keeping with the requirements of Chapter 13, Section 1:282, of the City Code and the City’s policy of assessing abutting property owners for the installation of new sidewalk when it is originally installed adjacent to their property, staff has prepared for your review and approval, the estimated costs of the sidewalk installation and distribution of the assessable portion of the costs therefor.
Budget/Fiscal Impact: Total project costs for the Jackson Ave. Sidewalk Gap Project are estimated to be $324,872.00 as indicated below and funding is included in the appropriate approved capital budgets (Project Number TR-AT-18-03).
Expenditure Budget:
Estimated Construction $234,872.00
Estimated Engineering, Testing, and Inspection $ 76,762.00
Revenue Budget:
Street, Bridge and Sidewalk Millage (non-assessable) $ 11,221.00
Parks Maint and Capital Improvement Millage $152,650.00
Special Assessment (assessable) $147,763.00
Attached, please find Resolution No. 2. Resolution No. 2 establishes the estimated costs and their distribution. The City Assessor’s Office will also be preparing and submitting Resolution No. 3 which establishes the date of the Public Hearing as required by City Code.
Resolution No. 1 was previously approved by Council on December 16, 2020. Postcards informing the affected property owners of the project and inviting them to an informal administrative meeting were mailed on February 18, 2020. The informal administrative meeting to discuss the project and the proposed special assessments was held with the affected property owners and/or their representatives on March 12, 2020. Unfortunately, it appears that due to issues associated with the COVID-19 virus no one attended the meeting. Subsequently, Engineering Staff prepared and mailed individual letters to each property owner informing them of the project, its benefits and impacts, estimated costs, the planned project schedule (including the planned presentation of Special Assessment Resolution Nos. 3 and 4), and other salient project information to them on March 13, 2020. These letters were also simultaneously shared with the Mayor and the Ward 3 and 5 Council Members. Information regarding the project has also been placed on the City Engineer’s webpage.
The proposed project schedule was shared with the Mayor and the Ward 3 and 5 Council Members on March 10, 2020. Excerpts of the proposed project schedule relating to needed upcoming Council actions is as follows:
Special Assessment Resolution No. 3 - presented to Council on April 20, 2020.
Special Assessment Resolution No. 4 - presented to Council on May 4, 2020
Public Hearing regarding the planned Special Assessments - May 4, 2020
Award of Construction Contract for the Jackson and Washtenaw Sidewalks - May 4, 2020
While the planned project schedule is somewhat aggressive, it is needed in order to construct these important sidewalks and eliminate gaps this construction season and minimize impacts to the residents and overall community.
Prepared by: Nicholas S. Hutchinson, P.E., City Engineer
Reviewed by: Craig Hupy, Public Services Area Administrator
Approved by: Tom Crawford, Interim City Administrator
Whereas, The City Council has directed and ordered the City Administrator to have prepared plans, specifications, and estimates of cost for the construction of sidewalk described as follows;
Jackson Avenue Sidewalk Gap Elimination Project - Westover Avenue to Park Lake Avenue - Sidewalk along south side of Eastbound lanes of Jackson Avenue; Sidewalk Special Assessment District No. 61.
Whereas, The City Administrator has had the same prepared and has filed the same with the City Clerk together with the recommendations as to what part of the cost thereof should be paid by special assessment and what part should be paid by the City at large, the number of installments in which the special assessments may be paid, and the lands which should be included in the special assessment district;
Whereas, The same has been presented to the City Council and examined and reviewed by the Council; and
Whereas, Funding is available in the appropriate approved capital budgets;
RESOLVED, That the plans, specifications, estimate of cost, and the recommendation of the City Administrator be filed with the City Clerk and be available for public examination;
RESOLVED, That the plans, specifications, estimate of cost, and recommendations of the City Administrator for said improvement as filed with the City Clerk by the City Administrator and presented to Council be approved;
RESOLVED, That the City Council hereby determine to proceed with the construction of the sidewalk described as follows;
Jackson Avenue Sidewalk Gap Elimination Project - Westover Avenue to Park Lake Avenue - Sidewalk along south side of Eastbound lanes of Jackson Avenue; Sidewalk Special Assessment District No. 61.
RESOLVED, That the City Council determine the cost of said improvements, including all incidentals, to be estimated at $311,634.00, and that of said total cost, the sum of $147,763.00, be paid by special assessment upon the property specially benefited within the City, and the sum of $11,221.00 be paid by the City as City Share Non-recoverable, and $152,650.00 be paid for by the Parks Maintenance and Capital Repair Millage;
RESOLVED, That the costs of the proposed improvements and the distribution of costs thereof be apportioned in accordance with Chapter 12, Title I, of City Code including interest and finance charges for said public improvements;
RESOLVED, That the following described lots and parcels of land be designated as constituting the special assessment district against which the cost of said improvement shall be assessed, or against which an improvement charge shall, pursuant to Chapter 13, Section 1:282, of the City Code be levied (see attached drawing and spreadsheet);
RESOLVED, That the City Assessor be hereby directed to prepare a special assessment roll in accordance with the foregoing determination of the City Council, and the file the same, together with his certificate attached thereto, with the City Clerk for presentation to the City Council; and
RESOLVED, That the City Administrator be authorized to take the necessary administrative actions to implement this resolution.